Input:
- - -
[1]
The following is a DFT calculation (GGA-PBE) of InNi3 after structural relaxation.

Values from the calculation:
V = 104.5 Å³ per cell
space group = No. 194
formation enthalpy at 0 K = -64 meV/atom
uncorrected energy = -5.0867 eV/atom

abc: 5.353 5.353 4.211
angles: 90.00 90.00 120.00
Positions (direct):
Ni (0.156, 0.844, 0.750)
Ni (0.687, 0.844, 0.750)
Ni (0.844, 0.156, 0.250)
Ni (0.844, 0.687, 0.250)
Ni (0.313, 0.156, 0.250)
In (0.333, 0.667, 0.250)
Ni (0.156, 0.313, 0.750)
In (0.667, 0.333, 0.750)

***

[2]
The following is a DFT calculation (GGA-PBE) of Mg6VCu after structural relaxation.

Values from the calculation:
V = 317.6 Å³ per cell
formation enthalpy at 0 K = 178 meV/atom
uncorrected energy = -2.6705 eV/atom

abc: 4.899 6.165 10.516
angles: 90.00 90.00 90.00
Positions (direct):
Mg (0.000, 0.759, 0.592)
V (0.500, 0.500, 0.167)
Cu (0.000, 0.500, 0.322)
Mg (0.000, 0.500, 0.836)
Mg (0.500, 0.500, 0.664)
Mg (0.500, 0.000, 0.164)
V (0.500, 0.000, 0.667)
Mg (0.500, 0.261, 0.413)
Mg (0.500, 0.739, 0.413)
Cu (0.000, 0.000, 0.822)
Mg (0.500, 0.761, 0.913)
Mg (0.000, 0.741, 0.092)
Mg (0.000, 0.241, 0.592)
Mg (0.500, 0.239, 0.913)
Mg (0.000, 0.000, 0.336)
Mg (0.000, 0.259, 0.092)

***

[3]
The following is a DFT calculation (GGA-PBE) of Na10Hf5Mg3P12O48 after structural relaxation.

Values from the calculation:
V = 3137.9 Å³ per cell
space group = No. 1
formation enthalpy at 0 K = -3027 meV/atom
uncorrected energy = -7.3517 eV/atom

abc: 17.902 8.957 22.607
angles: 89.99 89.99 120.05
Positions (direct):
O (0.244, 0.363, 0.138)
Hf (0.000, 0.000, 0.150)
O (0.894, 0.813, 0.193)
O (0.565, 0.643, 0.365)
P (0.520, 0.669, 0.419)
O (0.850, 0.158, 0.029)
Na (0.000, 0.000, 0.996)
O (0.571, 0.491, 0.577)
O (0.582, 0.690, 0.756)
O (0.748, 0.141, 0.922)
O (0.321, 0.139, 0.422)
P (0.332, 0.625, 0.585)
O (0.843, 0.160, 0.746)
P (0.313, 0.667, 0.918)
O (0.416, 0.809, 0.589)
Na (0.828, 0.965, 0.579)
Na (0.328, 0.691, 0.080)
P (0.832, 0.041, 0.084)
Na (0.335, 0.338, 0.325)
O (0.765, 0.830, 0.756)
P (0.149, 0.002, 0.250)
Na (0.163, 0.655, 0.165)
P (0.000, 0.704, 0.750)
O (0.657, 0.477, 0.756)
O (0.404, 0.828, 0.909)
O (0.396, 0.822, 0.196)
O (0.510, 0.192, 0.910)
O (0.071, 0.492, 0.577)
P (0.022, 0.669, 0.419)
O (0.013, 0.816, 0.692)
O (0.010, 0.829, 0.410)
O (0.840, 0.522, 0.246)
Na (0.661, 0.028, 0.412)
Na (0.018, 0.345, 0.080)
O (0.174, 0.491, 0.077)
Na (0.352, 0.676, 0.411)
O (0.930, 0.505, 0.422)
O (0.904, 0.827, 0.909)
O (0.489, 0.802, 0.802)
Na (0.828, 0.692, 0.079)
O (0.343, 0.160, 0.746)
O (0.916, 0.025, 0.089)
O (0.239, 0.158, 0.246)
P (0.021, 0.374, 0.920)
Hf (0.501, 0.002, 0.854)
O (0.921, 0.542, 0.029)
O (0.737, 0.165, 0.244)
P (0.480, 0.336, 0.585)
P (0.688, 0.041, 0.584)
P (0.813, 0.958, 0.420)
O (0.895, 0.970, 0.694)
Hf (0.664, 0.667, 0.816)
Hf (0.333, 0.325, 0.479)
P (0.500, 0.704, 0.750)
O (0.749, 0.353, 0.422)
Hf (0.000, 0.000, 0.352)
O (0.251, 0.363, 0.423)
O (0.746, 0.129, 0.636)
O (0.731, 0.303, 0.031)
O (0.989, 0.802, 0.802)
O (0.066, 0.489, 0.865)
O (0.239, 0.320, 0.746)
O (0.591, 0.975, 0.195)
Hf (0.164, 0.668, 0.816)
O (0.403, 0.974, 0.411)
Na (0.654, 0.964, 0.080)
O (0.405, 0.791, 0.308)
P (0.521, 0.374, 0.920)
O (0.929, 0.356, 0.922)
O (0.776, 0.859, 0.477)
Mg (0.667, 0.664, 0.515)
O (0.819, 0.139, 0.423)
O (0.678, 0.484, 0.362)
O (0.178, 0.868, 0.865)
O (0.917, 0.810, 0.589)
O (0.588, 0.187, 0.412)
O (0.153, 0.858, 0.976)
O (0.438, 0.366, 0.639)
P (0.149, 0.296, 0.750)
O (0.991, 0.178, 0.303)
O (0.254, 0.651, 0.578)
Hf (0.001, 0.003, 0.650)
O (0.410, 0.018, 0.803)
O (0.910, 0.801, 0.303)
O (0.600, 0.180, 0.803)
O (0.093, 0.976, 0.193)
O (0.678, 0.868, 0.865)
Hf (0.665, 0.668, 0.315)
Mg (0.166, 0.666, 0.515)
O (0.421, 0.300, 0.530)
O (0.067, 0.645, 0.365)
O (0.254, 0.858, 0.077)
Na (0.000, 0.999, 0.494)
P (0.832, 0.626, 0.586)
P (0.480, 0.623, 0.084)
O (0.273, 0.692, 0.974)
O (0.181, 0.492, 0.366)
P (0.332, 0.040, 0.086)
P (0.353, 0.003, 0.750)
Na (0.666, 0.677, 0.165)
O (0.921, 0.301, 0.529)
- - -
Job:
Please duplicate all of the material above character by character.
Response:
[1]
The following is a DFT calculation (GGA-PBE) of InNi3 after structural relaxation.

Values from the calculation:
V = 104.5 Å³ per cell
space group = No. 194
formation enthalpy at 0 K = -64 meV/atom
uncorrected energy = -5.0867 eV/atom

abc: 5.353 5.353 4.211
angles: 90.00 90.00 120.00
Positions (direct):
Ni (0.156, 0.844, 0.750)
Ni (0.687, 0.844, 0.750)
Ni (0.844, 0.156, 0.250)
Ni (0.844, 0.687, 0.250)
Ni (0.313, 0.156, 0.250)
In (0.333, 0.667, 0.250)
Ni (0.156, 0.313, 0.750)
In (0.667, 0.333, 0.750)

***

[2]
The following is a DFT calculation (GGA-PBE) of Mg6VCu after structural relaxation.

Values from the calculation:
V = 317.6 Å³ per cell
formation enthalpy at 0 K = 178 meV/atom
uncorrected energy = -2.6705 eV/atom

abc: 4.899 6.165 10.516
angles: 90.00 90.00 90.00
Positions (direct):
Mg (0.000, 0.759, 0.592)
V (0.500, 0.500, 0.167)
Cu (0.000, 0.500, 0.322)
Mg (0.000, 0.500, 0.836)
Mg (0.500, 0.500, 0.664)
Mg (0.500, 0.000, 0.164)
V (0.500, 0.000, 0.667)
Mg (0.500, 0.261, 0.413)
Mg (0.500, 0.739, 0.413)
Cu (0.000, 0.000, 0.822)
Mg (0.500, 0.761, 0.913)
Mg (0.000, 0.741, 0.092)
Mg (0.000, 0.241, 0.592)
Mg (0.500, 0.239, 0.913)
Mg (0.000, 0.000, 0.336)
Mg (0.000, 0.259, 0.092)

***

[3]
The following is a DFT calculation (GGA-PBE) of Na10Hf5Mg3P12O48 after structural relaxation.

Values from the calculation:
V = 3137.9 Å³ per cell
space group = No. 1
formation enthalpy at 0 K = -3027 meV/atom
uncorrected energy = -7.3517 eV/atom

abc: 17.902 8.957 22.607
angles: 89.99 89.99 120.05
Positions (direct):
O (0.244, 0.363, 0.138)
Hf (0.000, 0.000, 0.150)
O (0.894, 0.813, 0.193)
O (0.565, 0.643, 0.365)
P (0.520, 0.669, 0.419)
O (0.850, 0.158, 0.029)
Na (0.000, 0.000, 0.996)
O (0.571, 0.491, 0.577)
O (0.582, 0.690, 0.756)
O (0.748, 0.141, 0.922)
O (0.321, 0.139, 0.422)
P (0.332, 0.625, 0.585)
O (0.843, 0.160, 0.746)
P (0.313, 0.667, 0.918)
O (0.416, 0.809, 0.589)
Na (0.828, 0.965, 0.579)
Na (0.328, 0.691, 0.080)
P (0.832, 0.041, 0.084)
Na (0.335, 0.338, 0.325)
O (0.765, 0.830, 0.756)
P (0.149, 0.002, 0.250)
Na (0.163, 0.655, 0.165)
P (0.000, 0.704, 0.750)
O (0.657, 0.477, 0.756)
O (0.404, 0.828, 0.909)
O (0.396, 0.822, 0.196)
O (0.510, 0.192, 0.910)
O (0.071, 0.492, 0.577)
P (0.022, 0.669, 0.419)
O (0.013, 0.816, 0.692)
O (0.010, 0.829, 0.410)
O (0.840, 0.522, 0.246)
Na (0.661, 0.028, 0.412)
Na (0.018, 0.345, 0.080)
O (0.174, 0.491, 0.077)
Na (0.352, 0.676, 0.411)
O (0.930, 0.505, 0.422)
O (0.904, 0.827, 0.909)
O (0.489, 0.802, 0.802)
Na (0.828, 0.692, 0.079)
O (0.343, 0.160, 0.746)
O (0.916, 0.025, 0.089)
O (0.239, 0.158, 0.246)
P (0.021, 0.374, 0.920)
Hf (0.501, 0.002, 0.854)
O (0.921, 0.542, 0.029)
O (0.737, 0.165, 0.244)
P (0.480, 0.336, 0.585)
P (0.688, 0.041, 0.584)
P (0.813, 0.958, 0.420)
O (0.895, 0.970, 0.694)
Hf (0.664, 0.667, 0.816)
Hf (0.333, 0.325, 0.479)
P (0.500, 0.704, 0.750)
O (0.749, 0.353, 0.422)
Hf (0.000, 0.000, 0.352)
O (0.251, 0.363, 0.423)
O (0.746, 0.129, 0.636)
O (0.731, 0.303, 0.031)
O (0.989, 0.802, 0.802)
O (0.066, 0.489, 0.865)
O (0.239, 0.320, 0.746)
O (0.591, 0.975, 0.195)
Hf (0.164, 0.668, 0.816)
O (0.403, 0.974, 0.411)
Na (0.654, 0.964, 0.080)
O (0.405, 0.791, 0.308)
P (0.521, 0.374, 0.920)
O (0.929, 0.356, 0.922)
O (0.776, 0.859, 0.477)
Mg (0.667, 0.664, 0.515)
O (0.819, 0.139, 0.423)
O (0.678, 0.484, 0.362)
O (0.178, 0.868, 0.865)
O (0.917, 0.810, 0.589)
O (0.588, 0.187, 0.412)
O (0.153, 0.858, 0.976)
O (0.438, 0.366, 0.639)
P (0.149, 0.296, 0.750)
O (0.991, 0.178, 0.303)
O (0.254, 0.651, 0.578)
Hf (0.001, 0.003, 0.650)
O (0.410, 0.018, 0.803)
O (0.910, 0.801, 0.303)
O (0.600, 0.180, 0.803)
O (0.093, 0.976, 0.193)
O (0.678, 0.868, 0.865)
Hf (0.665, 0.668, 0.315)
Mg (0.166, 0.666, 0.515)
O (0.421, 0.300, 0.530)
O (0.067, 0.645, 0.365)
O (0.254, 0.858, 0.077)
Na (0.000, 0.999, 0.494)
P (0.832, 0.626, 0.586)
P (0.480, 0.623, 0.084)
O (0.273, 0.692, 0.974)
O (0.181, 0.492, 0.366)
P (0.332, 0.040, 0.086)
P (0.353, 0.003, 0.750)
Na (0.666, 0.677, 0.165)
O (0.921, 0.301, 0.529)